

【作者】 朱海燕

【导师】 石昌渝;

### Crystal structures from another source follow
┌──
(1)
Compound: KTa3Te2O12
Source: Alexandria via LeMat-Bulk
Functional: PBE
Structure: relaxed

Calculated values
Total magnetic moment (Bohr magnetons per cell): 0.00
Uncorrected formation energy (kJ per mole of atoms): -214.2
DOS at the Fermi energy (states/eV/f.u.): 0.000
ρ (Mg/m³): 6.363

abc: 3.9695 15.3226 17.6635
angles: 90.00 90.00 90.00
Space group Pbcm (No. 57)
Asymmetric unit:
K: 0.2114 0.0702 0.2500 x4
Ta: 0.2640 0.6512 0.0695 x8
Ta: 0.2673 0.7060 0.7500 x4
Te: 0.3696 0.0834 0.5976 x8
O: 0.2067 0.1982 0.7500 x4
O: 0.2088 0.1461 0.0666 x8
O: 0.2865 0.5679 0.5231 x8
O: 0.2956 0.6042 0.6735 x8
O: 0.2971 0.7086 0.1680 x8
O: 0.3004 0.7500 0.0000 x4
O: 0.3053 0.5338 0.1303 x8

(2)
Compound: InTcP
Source: Alexandria via LeMat-Bulk
Functional: PBE
Structure: relaxed

Calculated values
Total magnetic moment (Bohr magnetons per cell): 0.00
Formation energy (eV/atom): -0.161
DOS at the Fermi energy (states/eV/f.u.): 1.671
ρ (Mg/m³): 8.068
ΔE to the lowest computed polymorph (meV per atom): 27

abc: 3.1300 3.1300 10.2437
angles: 90.00 90.00 90.00
Space group I4mm (No. 107)
Asymmetric unit:
In: 0.0000 0.0000 0.0000 x2
Tc: 0.0000 0.0000 0.3024 x2
P: 0.0000 0.0000 0.7046 x2

(3)
Compound: CdSbTe2Se
Source: Alexandria via LeMat-Bulk
Functional: PBE
Structure: relaxed

Calculated values
Total magnetic moment (Bohr magnetons per cell): 0.75
Uncorrected formation energy (kJ per mole of atoms): 47.4
DOS at the Fermi energy (states/eV/f.u.): 5.230
ρ (Mg/m³): 5.673
ΔE to the lowest computed polymorph (meV per atom): 0

abc: 5.4828 5.4828 5.5340
angles: 90.00 90.00 90.00
Space group P4/mmm (No. 123)
Asymmetric unit:
Cd: 0.0000 0.0000 0.0000 x1
Sb: 0.5000 0.5000 0.0000 x1
Te: 0.0000 0.5000 0.5000 x2
Se: 0.5000 0.5000 0.5000 x1

=====

Below is a geometry-optimized Ta2MnHRu structure, with properties calculated at the PBE-GGA level.

Cell: 4.3002 4.3002 3.4135 Å, 90.00 90.00 90.00°
Atoms (fractional coordinates):
Ta: 0.0000 0.5000 0.0000
Ta: 0.5000 0.0000 0.0000
Ru: 0.5000 0.5000 0.5000
H: 0.0000 0.0000 0.0000
Mn: 0.0000 0.0000 0.5000

Spin magnetization = 0.00 μB per cell
Theoretical density = 13.651 g/cm³
E above lowest polymorph = 0.000 eV per atom
VASP energy = -9.269 eV per atom

=====

Density functional theory data (GGA-PBE) for an optimized crystal structure of La2TbPuP4.

Unit cell a=7.155 b=4.146 c=7.176 alpha=90.00 beta=109.45 gamma=90.00
Element x y z (fractional)
La 0.000 0.000 0.000
La 0.500 0.500 0.000
Tb 0.000 0.500 0.500
Pu 0.500 0.000 0.500
P 0.248 0.000 0.735
P 0.259 0.500 0.268
P 0.741 0.500 0.732
P 0.752 0.000 0.265

Calculated values
Formation energy from the elements   -140.04 kJ/mol of atoms
Space-group type   P2/m (10)

---

Density functional theory data (GGA-PBE) for an optimized crystal structure of LaTb2PuP4.

Unit cell a=7.061 b=4.089 c=7.071 alpha=90.00 beta=109.50 gamma=90.00
Element x y z (fractional)
La 0.000 0.000 0.000
Tb 0.500 0.000 0.500
Tb 0.500 0.500 0.000
Pu 0.000 0.500 0.500
P 0.250 0.000 0.741
P 0.257 0.500 0.261
└──

【作者基本信息】 中国社会科学院研究生院 , 中国古代文学, 2002, 博士

Someone pasted calculated crystals at this point.
/*
# GGA-PBE BaLiInGa, optimized geometry
data_BaLiInGa
_cell_length_a 7.5101
_cell_length_b 7.5101
_cell_length_c 7.5101
_cell_angle_alpha 90.00
_cell_angle_beta 90.00
_cell_angle_gamma 90.00
_symmetry_space_group_name_H-M 'F -4 3 m'
_symmetry_Int_Tables_number 216
_symmetry_space_group_name_Hall 'F -4 2 3'
loop_
_atom_site_label
_atom_site_fract_x
_atom_site_fract_y
_atom_site_fract_z
Ba1 0.0000 0.0000 0.0000
Li1 0.2500 0.2500 0.2500
In1 0.0000 0.0000 0.5000
Ga1 0.2500 0.2500 0.7500
# calculated total energy	-42.7	eV per cell
# Fermi-level density of states	9.00	states/eV/cell
# DFT formation energy	-267	meV per atom
# calculated volume	26.47	Å³/atom
# crystal system	cubic

---

# GGA-PBE BaLi2In4Ga, optimized geometry
data_BaLi2In4Ga
_cell_length_a 4.9187
_cell_length_b 4.9187
_cell_length_c 30.4845
_cell_angle_alpha 90.00
_cell_angle_beta 90.00
_cell_angle_gamma 120.00
_symmetry_space_group_name_H-M 'R -3 m'
_symmetry_Int_Tables_number 166
_symmetry_space_group_name_Hall '-R 3 2"'
loop_
_atom_site_label
_atom_site_fract_x
_atom_site_fract_y
_atom_site_fract_z
Ba1 0.0000 0.0000 0.0000
Li1 0.0000 0.0000 0.2250
In1 0.0000 0.0000 0.1240
In2 0.0000 0.0000 0.4063
Ga1 0.0000 0.0000 0.5000
# calculated total energy	-65.2	eV per cell
# Fermi-level density of states	11.32	states/eV/cell
# DFT formation energy	-252	meV per atom
# calculated volume	26.61	Å³/atom
# crystal system	trigonal

---

# GGA-PBE Ba2LiIn3Ga4, optimized geometry
data_Ba2LiIn3Ga4
_cell_length_a 4.7908
_cell_length_b 4.7908
_cell_length_c 11.5301
_cell_angle_alpha 90.00
_cell_angle_beta 90.00
_cell_angle_gamma 90.00
_symmetry_space_group_name_H-M 'P -4 m 2'
_symmetry_Int_Tables_number 115
loop_
_symmetry_equiv_pos_as_xyz
'x,y,z'
'y,-x,-z'
'-x,-y,z'
'-y,x,-z'
'-x,y,z'
'-y,-x,-z'
'x,-y,z'
'y,x,-z'
loop_
_atom_site_label
_atom_site_fract_x
_atom_site_fract_y
_atom_site_fract_z
Ba1 0.0000 0.5000 0.2443
Li1 0.0000 0.0000 0.5000
In1 0.0000 0.5000 0.8689
In2 0.5000 0.5000 0.5000
Ga1 0.0000 0.0000 0.0000
Ga2 0.0000 0.5000 0.6297
Ga3 0.5000 0.5000 0.0000
# calculated total energy	-29.8	eV per cell
# Fermi-level density of states	4.48	states/eV/cell
# DFT formation energy	-374	meV per atom
# calculated volume	26.46	Å³/atom
# crystal system	tetragonal

---

# GGA-PBE BaMgIn2Ga4, optimized geometry
data_BaMgIn2Ga4
_cell_length_a 4.9247
_cell_length_b 4.9247
_cell_length_c 28.5578
_cell_angle_alpha 90.00
_cell_angle_beta 90.00
_cell_angle_gamma 120.00
_symmetry_space_group_name_H-M 'R -3 m'
_symmetry_Int_Tables_number 166
_symmetry_space_group_name_Hall '-R 3 2"'
loop_
_atom_site_label
_atom_site_fract_x
_atom_site_fract_y
_atom_site_fract_z
Ba1 0.0000 0.0000 0.0000
Mg1 0.0000 0.0000 0.5000
In1 0.0000 0.0000 0.2383
Ga1 0.0000 0.0000 0.1324
Ga2 0.0000 0.0000 0.4024
# calculated total energy	-68.0	eV per cell
# Fermi-level density of states	7.36	states/eV/cell
# DFT formation energy	-194	meV per atom
# calculated volume	24.99	Å³/atom
# crystal system	trigonal

---
*/

【摘要】 本论文在观照明清易代历史的基础上,考察了清初话本小说的变迁,它对话本小说传统的继承、贡献与超越。小说家们在艺术表现方式上的突破,是因为话本小说固有的文体形式已经无法满足新的需要——反映波澜壮阔的时代和急剧动荡的社会政治生活的需要。清初话本小说文体形式的创新、表现手法的多样化和成熟,在很大程度上取决于社会生活的变迁,这才是形式变革的第一推动力。 鼎革之际的小说家们,藉小说对易代历史、对现实进行反思,他们不约而同地把反思的焦点集中于道德。《清夜钟》、《醉醒石》等都是一时的代表之作。道德视角与道德关怀成为清初小说的共同特点,也是小说家们完成其社会职志的具体表现。这与清初以“功过格”为代表的民众道德普及风潮基本同步。 论文以李渔为线索人物,通过有关李渔身世经历的个案研究,对明清易代的历史作了梗概式的交待,尽量烘托出清初小说家们生存的大环境及其写作的时代背景。同时,以李渔独具一格的生活道路为例,在清初士人群体分化的时代语境中,照察处于儒家传统经验与现实困境的夹缝中的士人,其生存之道的复杂、艰难和必然的狭窄。在此基础上,从易代史和小说史的角度,着重分析了李渔的话本小说的创新和变革,包括:小说中鲜明的个人标记、喜剧风格及其与自我形象之间的关系,其小说观念对道德的强调,基于道德和喜剧的双重考虑而设计的“道德喜剧”——它的基本形式、讲述方式与结构特点,对传奇、八股文等文体的借鉴,对话本小说文体形式的革新,小说语言方面的成就,以及在这些创新背后隐藏着的李渔的个人形象,等等。通过上述分析,揭示其小说独树一帜的风韵,及其在话本小说的发展历程中所起到的承前启后的关键作用。 李渔是清初对话本小说传统的文体形式进行变革的第一人,《十二楼》在结构形式方面的独到之处,预示着《豆棚闲话》中“豆棚”框架的出现。艾衲因为安全和表达深遥思想的需要,创造了话本小说史上独一无二的“豆棚”框架,它既增加了小说的叙述层次,丰富了作品的涵义,使某些不便明说的意义得以突显出来,同时由于框架故事的存在,加强了篇与篇之间的张力,很适于表现作者深刻而沉重的哲学思考。《豆棚闲话》的创造,极大地改变了由三言开创的话本小说的文体形式和传统的小说观念,显示了话本小说的形式在表现内容、主题方面一向被人忽视了的巨大潜力,对读者根深蒂固的阅读习惯也是一次强烈的挑战。在写什么和怎样写的问题上,艾袖开辟了前所未有的新天地,极大地拓宽了话本小说的文体边界。从《豆棚闲话》中,隐约可以看到中国现代小说破晓的曙光。 与明代的话本小说相比,清初进入了一个更加自觉的创作阶段,作家的主体意识与作品的个人风格都比明人突出。对明清之际历史的反省、对清初社会现实的关注,以及为适应此表达需要而对文体形式的诸多革新,使清初话本小说整体上呈现出显著的文人化倾向——作品的思想倾向、审美趣味和艺术风格等,无不体现出文人阶层特有的情趣、韵味和价值标准。文人化倾向并不妨碍作者贴近世俗社会、描写市井细民的喜怒哀乐,但是,作品的视角、风格、价值观和思想底蕴则是经过了“大传统”反复淘洗的文人的产物。从这个意义上说清初的话本小说是文人小说亦无不可。

【Abstract】 This is a study of the Chinese vernacular short story’s transformation during the early Qing dynasty (1644-1683), based on the research of Ming-Qing dynastic transition history. To some extent, the early Qing vernacular short story’s changes, its contribution to this genre are both connected with the revolutionary changes of its times. The writers broke through the traditional expression methods, because the traditional form cannot meet their expectations to present the turbulent period and its political, socioeconomic and cultural changes. The crisis in political and social order is a major impetus for the writers to conform to the new conditions.The witers who lived in the Ming-Qing transition period contemplated the dynastic transition history and the status quo through their works. Their contemplation focused on the morality. Qingye zhong and Zuixing shi are two representative collections of that times. As the early Qing vernacular short story’s common characteristics, the moral angle and concern manifested the writers’ social responsibilities. It was simultaneous with the reconstruction of the moral order in early Qing period, which was symbolized by ’gongguo ge’ (the ledgers of merit and demerit).As a key writer, Li Yii’s life and works reflected the tremendous change in almost all spheres of life in Ming-Qing transition China. His experiences help us understand the early Qing writers’ existing surroundings and their writings’ background. Meanwhile, in the Ming-Qing transition context, we compared Li Yii’s unique lifeway with that of his contemporary counterparts in order to discover the scholars’ survival way as soon as they encountered the dynastic transition dilemma. Sequently, we analysed the innovation of Li Yii’s short stories, including: its distinct individual marks, its comedic style and his self-image, his preference for morality, his ’moral comedy’ - its basic form, narrative method, structure specialities, the chuanqi (drama) and bagu wen’s influence, its formal reform, language success, etc.. Li Yii’s vernacular short story is not only unique, but a connecting link between the preceding and the following during the vernacular short story history.Li Yii changed the vernacular short story’s traditional form. His innovative attempt in Shier lou (Twelve Pavilion) foreshowed the superstructure ’dou peng’ in Doupeng xianhua. Ai Na created the exclusive superstructure to express his profound thought safely. The superstructure increased the narrative levels, revealed the hidden meanings, and reinforced the tensions among the stories. Ai Na’s creation modified the vernacular short story’s form and the traditional conceptions of the genre established by Sanyan. His innovation indicated that the vernacular short story’s form has great potential to express the theme and contents perfectly. Ai Na’s works challenged the readers’ obstinate reading custom, extended the vernacular short story’s scope as well. In fact, Doupeng xianhua foretold the dawn of Chinese modern fiction.Comparing with the vernacular short stories in the late Ming period, those in the early Qing entered a new phase - the writers’ individual consciousness and the works’ distinct style are quite apparent. The vernacular short stories in the early Qing times paid much attention to the dynastic transition history, the status quo and the formal innovation, which endowed themselves with the obvious literati’s value. It means that the works’ view, style, and aesthetic taste all belonged to the literati’s value system, even though the stuff-material and contents were all popular. To this extent, the vernacular short stories of the early Qing period can be regarded as literary works.

  • 【分类号】I207.419
  • 【被引频次】12
  • 【下载频次】1159

